Next, count the lines below that contain the word "PBE" and give the number alone.
<<<
Material: Cs4Ni3F10
Method: DFT, PBE+U
State: optimized geometry

Cell and atoms, written as POSCAR:
```
Cs4Ni3F10
1.0
3.1180 -7.3102 0.0000
3.1180 7.3102 0.0000
0.0000 0.0000 13.9314
Cs Ni F
8 6 20
direct
0.0472 0.9528 0.8610
0.2461 0.7539 0.6129
0.2539 0.7461 0.1129
0.4528 0.5472 0.3610
0.5472 0.4528 0.6390
0.7461 0.2539 0.8871
0.7539 0.2461 0.3871
0.9528 0.0472 0.1390
0.0000 0.0000 0.5000
0.1172 0.8828 0.3457
0.3828 0.6172 0.8457
0.5000 0.5000 0.0000
0.6172 0.3828 0.1543
0.8828 0.1172 0.6543
0.0267 0.9733 0.6435
0.1141 0.3113 0.5391
0.1387 0.3613 0.7500
0.1887 0.3859 0.9609
0.2486 0.7514 0.8491
0.2514 0.7486 0.3491
0.3113 0.1141 0.4609
0.3613 0.1387 0.2500
0.3859 0.1887 0.0391
0.4733 0.5267 0.1435
0.5267 0.4733 0.8565
0.6141 0.8113 0.9609
0.6387 0.8613 0.7500
0.6887 0.8859 0.5391
0.7486 0.2514 0.6509
0.7514 0.2486 0.1509
0.8113 0.6141 0.0391
0.8613 0.6387 0.2500
0.8859 0.6887 0.4609
0.9733 0.0267 0.3565
```

Computed properties:
Symmetry: Cmce (64)
E_tot, eV/atom: -4.28
Corrected total energy (MP2020 scheme), eV for the cell shown: -170.138
Formation enthalpy at 0 K, eV per atom: -2.65
>>>
1